== What to do ==
Now echo the whole of the data underneath with every line break kept.
== Input ==
+++
This record from Alexandria describes SiNi2O4 after structural relaxation. The functional is PBE with a Hubbard U.

Calculated values
polymorph energy (0 for the lowest one): 0.0 kJ/mol of atoms
magnetic moment: 16.0 Bohr magnetons per cell

```
SiNi2O4
1.0
10.2423 0.0000 0.0000
0.0000 5.9727 0.0000
0.0000 0.0000 4.7700
Si Ni O
4 8 16
Direct
0.0938 0.2500 0.0733 Si
0.4062 0.7500 0.5733 Si
0.5938 0.2500 0.4267 Si
0.9062 0.7500 0.9267 Si
0.0000 0.0000 0.5000 Ni
0.0000 0.5000 0.5000 Ni
0.2266 0.7500 0.0067 Ni
0.2734 0.2500 0.5067 Ni
0.5000 0.0000 0.0000 Ni
0.5000 0.5000 0.0000 Ni
0.7266 0.7500 0.4933 Ni
0.7734 0.2500 0.9933 Ni
0.0551 0.7500 0.7821 O
0.0935 0.2500 0.7310 O
0.1628 0.0300 0.2254 O
0.1628 0.4700 0.2254 O
0.3372 0.5300 0.7254 O
0.3372 0.9700 0.7254 O
0.4065 0.7500 0.2310 O
0.4449 0.2500 0.2821 O
0.5551 0.7500 0.7179 O
0.5935 0.2500 0.7690 O
0.6628 0.0300 0.2746 O
0.6628 0.4700 0.2746 O
0.8372 0.5300 0.7746 O
0.8372 0.9700 0.7746 O
0.9065 0.7500 0.2690 O
0.9449 0.2500 0.2179 O
```
+++
== Written answer ==
This record from Alexandria describes SiNi2O4 after structural relaxation. The functional is PBE with a Hubbard U.

Calculated values
polymorph energy (0 for the lowest one): 0.0 kJ/mol of atoms
magnetic moment: 16.0 Bohr magnetons per cell

```
SiNi2O4
1.0
10.2423 0.0000 0.0000
0.0000 5.9727 0.0000
0.0000 0.0000 4.7700
Si Ni O
4 8 16
Direct
0.0938 0.2500 0.0733 Si
0.4062 0.7500 0.5733 Si
0.5938 0.2500 0.4267 Si
0.9062 0.7500 0.9267 Si
0.0000 0.0000 0.5000 Ni
0.0000 0.5000 0.5000 Ni
0.2266 0.7500 0.0067 Ni
0.2734 0.2500 0.5067 Ni
0.5000 0.0000 0.0000 Ni
0.5000 0.5000 0.0000 Ni
0.7266 0.7500 0.4933 Ni
0.7734 0.2500 0.9933 Ni
0.0551 0.7500 0.7821 O
0.0935 0.2500 0.7310 O
0.1628 0.0300 0.2254 O
0.1628 0.4700 0.2254 O
0.3372 0.5300 0.7254 O
0.3372 0.9700 0.7254 O
0.4065 0.7500 0.2310 O
0.4449 0.2500 0.2821 O
0.5551 0.7500 0.7179 O
0.5935 0.2500 0.7690 O
0.6628 0.0300 0.2746 O
0.6628 0.4700 0.2746 O
0.8372 0.5300 0.7746 O
0.8372 0.9700 0.7746 O
0.9065 0.7500 0.2690 O
0.9449 0.2500 0.2179 O
```